The reader should print all of the data underneath with every line break kept.

-- begin --
Material: Ru3C10I2O9
Method: DFT, PBE
State: relaxed

Output
As for the volume: 1910.2 Å³/cell. Its energy of formation is -16.2 eV per formula unit.

a = 8.4260 Å, b = 9.3748 Å, c = 24.1816 Å
α = 90.00°, β = 90.00°, γ = 90.00°
Closest atoms and distances in Å follow each position.
Sites, in units of the cell vectors:
Ru1 0.7879 0.0568 0.5813  3 C 1.77-1.94
Ru2 0.2121 0.5568 0.4187  3 C 1.77-1.94
Ru3 0.2879 0.5568 0.9187  3 C 1.77-1.94
Ru4 0.7121 0.0568 0.0813  3 C 1.77-1.94
Ru5 0.6421 0.3433 0.5950  3 C 1.89-1.93
Ru6 0.3579 0.8433 0.4050  3 C 1.89-1.93
Ru7 0.1421 0.8433 0.9050  3 C 1.89-1.93
Ru8 0.8579 0.3433 0.0950  3 C 1.89-1.93
Ru9 0.7548 0.1249 0.7011  3 C 1.89-1.93
Ru10 0.2452 0.6249 0.2989  3 C 1.89-1.93
Ru11 0.2548 0.6249 0.7989  3 C 1.89-1.93
Ru12 0.7452 0.1249 0.2011  3 C 1.89-1.93
C1 0.7760 0.0538 0.5014  1 O 1.16
C2 0.2240 0.5538 0.4986  1 O 1.16
C3 0.2760 0.5538 0.9986  1 O 1.16
C4 0.7240 0.0538 0.0014  1 O 1.16
C5 0.8587 0.8616 0.5915  1 O 1.16
C6 0.1413 0.3616 0.4085  1 O 1.16
C7 0.3587 0.3616 0.9085  1 O 1.16
C8 0.6413 0.8616 0.0915  1 O 1.16
C9 0.5413 0.9871 0.5873  1 O 1.15
C10 0.4587 0.4871 0.4127  1 O 1.15
C11 0.0413 0.4871 0.9127  1 O 1.15
C12 0.9587 0.9871 0.0873  1 O 1.15
C13 0.9746 0.1422 0.5858  1 Ru 1.77
C14 0.0254 0.6422 0.4142  1 Ru 1.77
C15 0.4746 0.6422 0.9142  1 Ru 1.77
C16 0.5254 0.1422 0.0858  1 Ru 1.77
C17 0.4922 0.2781 0.5428  1 O 1.16
C18 0.5078 0.7781 0.4572  1 O 1.16
C19 0.9922 0.7781 0.9572  1 O 1.16
C20 0.0078 0.2781 0.0428  1 O 1.16
C21 0.5627 0.5337 0.6060  1 O 1.16
C22 0.4373 0.0337 0.3940  1 O 1.16
C23 0.0627 0.0337 0.8940  1 O 1.16
C24 0.9373 0.5337 0.1060  1 O 1.16
C25 0.7908 0.3866 0.5391  1 O 1.16
C26 0.2092 0.8866 0.4609  1 O 1.16
C27 0.2908 0.8866 0.9609  1 O 1.16
C28 0.7092 0.3866 0.0391  1 O 1.16
C29 0.6709 0.9385 0.7049  1 O 1.16
C30 0.3291 0.4385 0.2951  1 O 1.16
C31 0.1709 0.4385 0.7951  1 O 1.16
C32 0.8291 0.9385 0.2049  1 O 1.16
C33 0.7331 0.1746 0.7784  1 O 1.16
C34 0.2669 0.6746 0.2216  1 O 1.16
C35 0.2331 0.6746 0.7216  1 O 1.16
C36 0.7669 0.1746 0.2784  1 O 1.16
C37 0.9651 0.0556 0.7031  1 O 1.16
C38 0.0349 0.5556 0.2969  1 O 1.16
C39 0.4651 0.5556 0.7969  1 O 1.16
C40 0.5349 0.0556 0.2031  1 O 1.16
I1 0.4502 0.2411 0.6821  2 Ru 2.82-2.83
I2 0.5498 0.7411 0.3179  2 Ru 2.82-2.83
I3 0.9502 0.7411 0.8179  2 Ru 2.82-2.83
I4 0.0498 0.2411 0.1821  2 Ru 2.82-2.83
I5 0.8718 0.3979 0.6760  2 Ru 2.80-2.81
I6 0.1282 0.8979 0.3240  2 Ru 2.80-2.81
I7 0.3718 0.8979 0.8240  2 Ru 2.80-2.81
I8 0.6282 0.3979 0.1760  2 Ru 2.80-2.81
O1 0.7794 0.0493 0.4536  1 C 1.16
O2 0.2206 0.5493 0.5464  1 C 1.16
O3 0.2794 0.5493 0.0464  1 C 1.16
O4 0.7206 0.0493 0.9536  1 C 1.16
O5 0.9058 0.7459 0.5949  1 C 1.16
O6 0.0942 0.2459 0.4051  1 C 1.16
O7 0.4058 0.2459 0.9051  1 C 1.16
O8 0.5942 0.7459 0.0949  1 C 1.16
O9 0.4121 0.9477 0.5866  1 C 1.15
O10 0.5879 0.4477 0.4134  1 C 1.15
O11 0.9121 0.4477 0.9134  1 C 1.15
O12 0.0879 0.9477 0.0866  1 C 1.15
O13 0.4009 0.2411 0.5098  1 C 1.16
O14 0.5991 0.7411 0.4902  1 C 1.16
O15 0.9009 0.7411 0.9902  1 C 1.16
O16 0.0991 0.2411 0.0098  1 C 1.16
O17 0.5208 0.6507 0.6106  1 C 1.16
O18 0.4792 0.1507 0.3894  1 C 1.16
O19 0.0208 0.1507 0.8894  1 C 1.16
O20 0.9792 0.6507 0.1106  1 C 1.16
O21 0.8776 0.4180 0.5040  1 C 1.16
O22 0.1224 0.9180 0.4960  1 C 1.16
O23 0.3776 0.9180 0.9960  1 C 1.16
O24 0.6224 0.4180 0.0040  1 C 1.16
O25 0.6230 0.8227 0.7089  1 C 1.16
O26 0.3770 0.3227 0.2911  1 C 1.16
O27 0.1230 0.3227 0.7911  1 C 1.16
O28 0.8770 0.8227 0.2089  1 C 1.16
O29 0.7203 0.1990 0.8250  1 C 1.16
O30 0.2797 0.6990 0.1750  1 C 1.16
O31 0.2203 0.6990 0.6750  1 C 1.16
O32 0.7797 0.1990 0.3250  1 C 1.16
O33 0.0935 0.0122 0.7065  1 C 1.16
O34 0.9065 0.5122 0.2935  1 C 1.16
O35 0.5935 0.5122 0.7935  1 C 1.16
O36 0.4065 0.0122 0.2065  1 C 1.16


Record 1
VASP calculation (GGA-PBE) on a relaxed structure of Ba7CN6.

CIF file:
```
data_Ba7CN6
_chemical_formula_sum 'Ba28 C4 N24'
_cell_length_a 12.314
_cell_length_b 7.121
_cell_length_c 13.922
_cell_angle_alpha 90.00
-- stop --

Material: Ru3C10I2O9
Method: DFT, PBE
State: relaxed

Output
As for the volume: 1910.2 Å³/cell. Its energy of formation is -16.2 eV per formula unit.

a = 8.4260 Å, b = 9.3748 Å, c = 24.1816 Å
α = 90.00°, β = 90.00°, γ = 90.00°
Closest atoms and distances in Å follow each position.
Sites, in units of the cell vectors:
Ru1 0.7879 0.0568 0.5813  3 C 1.77-1.94
Ru2 0.2121 0.5568 0.4187  3 C 1.77-1.94
Ru3 0.2879 0.5568 0.9187  3 C 1.77-1.94
Ru4 0.7121 0.0568 0.0813  3 C 1.77-1.94
Ru5 0.6421 0.3433 0.5950  3 C 1.89-1.93
Ru6 0.3579 0.8433 0.4050  3 C 1.89-1.93
Ru7 0.1421 0.8433 0.9050  3 C 1.89-1.93
Ru8 0.8579 0.3433 0.0950  3 C 1.89-1.93
Ru9 0.7548 0.1249 0.7011  3 C 1.89-1.93
Ru10 0.2452 0.6249 0.2989  3 C 1.89-1.93
Ru11 0.2548 0.6249 0.7989  3 C 1.89-1.93
Ru12 0.7452 0.1249 0.2011  3 C 1.89-1.93
C1 0.7760 0.0538 0.5014  1 O 1.16
C2 0.2240 0.5538 0.4986  1 O 1.16
C3 0.2760 0.5538 0.9986  1 O 1.16
C4 0.7240 0.0538 0.0014  1 O 1.16
C5 0.8587 0.8616 0.5915  1 O 1.16
C6 0.1413 0.3616 0.4085  1 O 1.16
C7 0.3587 0.3616 0.9085  1 O 1.16
C8 0.6413 0.8616 0.0915  1 O 1.16
C9 0.5413 0.9871 0.5873  1 O 1.15
C10 0.4587 0.4871 0.4127  1 O 1.15
C11 0.0413 0.4871 0.9127  1 O 1.15
C12 0.9587 0.9871 0.0873  1 O 1.15
C13 0.9746 0.1422 0.5858  1 Ru 1.77
C14 0.0254 0.6422 0.4142  1 Ru 1.77
C15 0.4746 0.6422 0.9142  1 Ru 1.77
C16 0.5254 0.1422 0.0858  1 Ru 1.77
C17 0.4922 0.2781 0.5428  1 O 1.16
C18 0.5078 0.7781 0.4572  1 O 1.16
C19 0.9922 0.7781 0.9572  1 O 1.16
C20 0.0078 0.2781 0.0428  1 O 1.16
C21 0.5627 0.5337 0.6060  1 O 1.16
C22 0.4373 0.0337 0.3940  1 O 1.16
C23 0.0627 0.0337 0.8940  1 O 1.16
C24 0.9373 0.5337 0.1060  1 O 1.16
C25 0.7908 0.3866 0.5391  1 O 1.16
C26 0.2092 0.8866 0.4609  1 O 1.16
C27 0.2908 0.8866 0.9609  1 O 1.16
C28 0.7092 0.3866 0.0391  1 O 1.16
C29 0.6709 0.9385 0.7049  1 O 1.16
C30 0.3291 0.4385 0.2951  1 O 1.16
C31 0.1709 0.4385 0.7951  1 O 1.16
C32 0.8291 0.9385 0.2049  1 O 1.16
C33 0.7331 0.1746 0.7784  1 O 1.16
C34 0.2669 0.6746 0.2216  1 O 1.16
C35 0.2331 0.6746 0.7216  1 O 1.16
C36 0.7669 0.1746 0.2784  1 O 1.16
C37 0.9651 0.0556 0.7031  1 O 1.16
C38 0.0349 0.5556 0.2969  1 O 1.16
C39 0.4651 0.5556 0.7969  1 O 1.16
C40 0.5349 0.0556 0.2031  1 O 1.16
I1 0.4502 0.2411 0.6821  2 Ru 2.82-2.83
I2 0.5498 0.7411 0.3179  2 Ru 2.82-2.83
I3 0.9502 0.7411 0.8179  2 Ru 2.82-2.83
I4 0.0498 0.2411 0.1821  2 Ru 2.82-2.83
I5 0.8718 0.3979 0.6760  2 Ru 2.80-2.81
I6 0.1282 0.8979 0.3240  2 Ru 2.80-2.81
I7 0.3718 0.8979 0.8240  2 Ru 2.80-2.81
I8 0.6282 0.3979 0.1760  2 Ru 2.80-2.81
O1 0.7794 0.0493 0.4536  1 C 1.16
O2 0.2206 0.5493 0.5464  1 C 1.16
O3 0.2794 0.5493 0.0464  1 C 1.16
O4 0.7206 0.0493 0.9536  1 C 1.16
O5 0.9058 0.7459 0.5949  1 C 1.16
O6 0.0942 0.2459 0.4051  1 C 1.16
O7 0.4058 0.2459 0.9051  1 C 1.16
O8 0.5942 0.7459 0.0949  1 C 1.16
O9 0.4121 0.9477 0.5866  1 C 1.15
O10 0.5879 0.4477 0.4134  1 C 1.15
O11 0.9121 0.4477 0.9134  1 C 1.15
O12 0.0879 0.9477 0.0866  1 C 1.15
O13 0.4009 0.2411 0.5098  1 C 1.16
O14 0.5991 0.7411 0.4902  1 C 1.16
O15 0.9009 0.7411 0.9902  1 C 1.16
O16 0.0991 0.2411 0.0098  1 C 1.16
O17 0.5208 0.6507 0.6106  1 C 1.16
O18 0.4792 0.1507 0.3894  1 C 1.16
O19 0.0208 0.1507 0.8894  1 C 1.16
O20 0.9792 0.6507 0.1106  1 C 1.16
O21 0.8776 0.4180 0.5040  1 C 1.16
O22 0.1224 0.9180 0.4960  1 C 1.16
O23 0.3776 0.9180 0.9960  1 C 1.16
O24 0.6224 0.4180 0.0040  1 C 1.16
O25 0.6230 0.8227 0.7089  1 C 1.16
O26 0.3770 0.3227 0.2911  1 C 1.16
O27 0.1230 0.3227 0.7911  1 C 1.16
O28 0.8770 0.8227 0.2089  1 C 1.16
O29 0.7203 0.1990 0.8250  1 C 1.16
O30 0.2797 0.6990 0.1750  1 C 1.16
O31 0.2203 0.6990 0.6750  1 C 1.16
O32 0.7797 0.1990 0.3250  1 C 1.16
O33 0.0935 0.0122 0.7065  1 C 1.16
O34 0.9065 0.5122 0.2935  1 C 1.16
O35 0.5935 0.5122 0.7935  1 C 1.16
O36 0.4065 0.0122 0.2065  1 C 1.16


Record 1
VASP calculation (GGA-PBE) on a relaxed structure of Ba7CN6.

CIF file:
```
data_Ba7CN6
_chemical_formula_sum 'Ba28 C4 N24'
_cell_length_a 12.314
_cell_length_b 7.121
_cell_length_c 13.922
_cell_angle_alpha 90.00